# Contents
********
{
  "formula": "CeVGeO6",
  "functional": "PBE with a Hubbard U",
  "state": "relaxed",
  "e_tot_ev_per_atom": -7.52,
  "cell": [[4.740, 0.000, 0.000], [0.000, 4.740, 0.000], [0.000, 0.000, 9.503]],
  "species": ["Ce", "Ce", "V", "V", "Ge", "Ge", "O", "O", "O", "O", "O", "O", "O", "O", "O", "O", "O", "O"],
  "fractional_positions": [[0.000, 0.000, 0.000], [0.500, 0.500, 0.500], [0.000, 0.000, 0.668], [0.500, 0.500, 0.168], [0.000, 0.000, 0.336], [0.500, 0.500, 0.836], [0.174, 0.174, 0.500], [0.214, 0.214, 0.190], [0.216, 0.216, 0.822], [0.284, 0.716, 0.322], [0.286, 0.714, 0.690], [0.326, 0.674, 0.000], [0.674, 0.326, 0.000], [0.714, 0.286, 0.690], [0.716, 0.284, 0.322], [0.784, 0.784, 0.822], [0.786, 0.786, 0.190], [0.826, 0.826, 0.500]]
}

----------

DFT (PBE) results for a relaxed structure of K2HoAgCl6.

Unit cell a=7.3074 b=7.6719 c=10.2650 alpha=90.00 beta=89.35 gamma=90.00
Last column: nearest neighbours and their distance in Å.
Fractional positions:
K (0.0216, 0.9286, 0.2508)  6 Cl 3.18-3.41
K (0.5216, 0.5714, 0.7508)  6 Cl 3.18-3.41
K (0.9784, 0.0714, 0.7492)  6 Cl 3.18-3.41
K (0.4784, 0.4286, 0.2492)  6 Cl 3.18-3.41
Cl (0.5982, 0.0263, 0.2523)  1 Ho 2.64, 1 Ag 2.70
Cl (0.3146, 0.7127, 0.4502)  1 Ho 2.64, 1 Ag 2.86
Cl (0.8146, 0.7873, 0.9502)  1 Ho 2.64, 1 Ag 2.86
Cl (0.4018, 0.9737, 0.7477)  1 Ho 2.64, 1 Ag 2.70
Cl (0.7926, 0.8109, 0.5487)  1 Ho 2.64, 1 Ag 2.87
Cl (0.7074, 0.3109, 0.9513)  1 Ho 2.64, 1 Ag 2.87
Cl (0.6854, 0.2873, 0.5498)  1 Ho 2.64, 1 Ag 2.86
Cl (0.0982, 0.4737, 0.7523)  1 Ho 2.64, 1 Ag 2.70
Cl (0.1854, 0.2127, 0.0498)  1 Ho 2.64, 1 Ag 2.86
Cl (0.2926, 0.6891, 0.0487)  1 Ho 2.64, 1 Ag 2.87
Cl (0.9018, 0.5263, 0.2477)  1 Ho 2.64, 1 Ag 2.70
Cl (0.2074, 0.1891, 0.4513)  1 Ho 2.64, 1 Ag 2.87
Ag (0.5000, 0.0000, 0.0000)  6 Cl 2.70-2.87
Ag (0.0000, 0.5000, 0.5000)  6 Cl 2.70-2.87
Ho (0.0000, 0.5000, 0.0000)  6 Cl 2.64
Ho (0.5000, 0.0000, 0.5000)  6 Cl 2.64

Calculated values
Fermi-level density of states in states/eV per cell: 0.00
Raw formation energy in meV per atom: -1818
Total magnetic moment in μB per atom: 0.000


DFT (PBE) results for a relaxed structure of Sc2CrP.

Unit cell a=4.4517 b=4.4517 c=4.4517 alpha=60.00 beta=60.00 gamma=60.00
Last column: nearest neighbours and their distance in Å.
Fractional positions:
Sc (0.0000, 0.0000, 0.0000)  4 Sc 2.73, 4 P 2.73
Sc (0.2500, 0.2500, 0.2500)  4 Cr 2.73, 4 Sc 2.73
P (0.7500, 0.7500, 0.7500)  4 Cr 2.73, 4 Sc 2.73
Cr (0.5000, 0.5000, 0.5000)  4 Sc 2.73, 4 P 2.73

Calculated values
ΔE_f in eV per atom: -0.095
Fermi-level density of states in states/eV per cell: 3.53
Total magnetic moment in μB per atom: 0.249


DFT (PBE) results for a relaxed structure of DyGaCo2H.

Unit cell a=3.5654 b=5.5002 c=7.1454 alpha=90.00 beta=90.00 gamma=108.91
Last column: nearest neighbours and their distance in Å.
Fractional positions:
Ga (0.2726, 0.5452, 0.2500)  6 Co 2.40-2.45
Ga (0.7274, 0.4548, 0.7500)  6 Co 2.40-2.45
Co (0.1579, 0.3158, 0.5492)  1 H 1.68
Co (0.8421, 0.6842, 0.0492)  1 H 1.68
Co (0.1579, 0.3158, 0.9508)  1 H 1.68
Co (0.8421, 0.6842, 0.4508)  1 H 1.68
Dy (0.5499, 0.0999, 0.2500)  4 H 2.58
Dy (0.4501, 0.9001, 0.7500)  4 H 2.58
H (0.0000, 0.0000, 0.5000)  2 Co 1.68
H (0.0000, 0.0000, 0.0000)  2 Co 1.68

Calculated values
Fermi-level density of states in states/eV per cell: 12.01
Total magnetic moment in μB per atom: 0.318
Final energy in eV per atom: -5.361

----------

Material: SrMgCoF6
Method: DFT, PBE with a Hubbard U
State: relaxed

Computed properties:
For the density of states at the Fermi level, the calculation gives 0.0 states/eV/cell. The energy comes out at -5.39 eV/atom.

Cell lengths 5.366, 5.366, 10.445 Å; angles 90.00, 90.00, 120.00 degrees
Atoms (fractional coordinates):
Sr: 0.000 0.000 0.000
Sr: 0.000 0.000 0.500
Mg: 0.333 0.667 0.250
Mg: 0.667 0.333 0.750
Co: 0.333 0.667 0.750
Co: 0.667 0.333 0.250
F: 0.007 0.366 0.144
F: 0.007 0.641 0.356
F: 0.359 0.366 0.356
F: 0.359 0.993 0.144
F: 0.366 0.007 0.644
F: 0.366 0.359 0.856
********
# To do
Now return all of the material earlier on exactly.
# Solution
{
  "formula": "CeVGeO6",
  "functional": "PBE with a Hubbard U",
  "state": "relaxed",
  "e_tot_ev_per_atom": -7.52,
  "cell": [[4.740, 0.000, 0.000], [0.000, 4.740, 0.000], [0.000, 0.000, 9.503]],
  "species": ["Ce", "Ce", "V", "V", "Ge", "Ge", "O", "O", "O", "O", "O", "O", "O", "O", "O", "O", "O", "O"],
  "fractional_positions": [[0.000, 0.000, 0.000], [0.500, 0.500, 0.500], [0.000, 0.000, 0.668], [0.500, 0.500, 0.168], [0.000, 0.000, 0.336], [0.500, 0.500, 0.836], [0.174, 0.174, 0.500], [0.214, 0.214, 0.190], [0.216, 0.216, 0.822], [0.284, 0.716, 0.322], [0.286, 0.714, 0.690], [0.326, 0.674, 0.000], [0.674, 0.326, 0.000], [0.714, 0.286, 0.690], [0.716, 0.284, 0.322], [0.784, 0.784, 0.822], [0.786, 0.786, 0.190], [0.826, 0.826, 0.500]]
}

----------

DFT (PBE) results for a relaxed structure of K2HoAgCl6.

Unit cell a=7.3074 b=7.6719 c=10.2650 alpha=90.00 beta=89.35 gamma=90.00
Last column: nearest neighbours and their distance in Å.
Fractional positions:
K (0.0216, 0.9286, 0.2508)  6 Cl 3.18-3.41
K (0.5216, 0.5714, 0.7508)  6 Cl 3.18-3.41
K (0.9784, 0.0714, 0.7492)  6 Cl 3.18-3.41
K (0.4784, 0.4286, 0.2492)  6 Cl 3.18-3.41
Cl (0.5982, 0.0263, 0.2523)  1 Ho 2.64, 1 Ag 2.70
Cl (0.3146, 0.7127, 0.4502)  1 Ho 2.64, 1 Ag 2.86
Cl (0.8146, 0.7873, 0.9502)  1 Ho 2.64, 1 Ag 2.86
Cl (0.4018, 0.9737, 0.7477)  1 Ho 2.64, 1 Ag 2.70
Cl (0.7926, 0.8109, 0.5487)  1 Ho 2.64, 1 Ag 2.87
Cl (0.7074, 0.3109, 0.9513)  1 Ho 2.64, 1 Ag 2.87
Cl (0.6854, 0.2873, 0.5498)  1 Ho 2.64, 1 Ag 2.86
Cl (0.0982, 0.4737, 0.7523)  1 Ho 2.64, 1 Ag 2.70
Cl (0.1854, 0.2127, 0.0498)  1 Ho 2.64, 1 Ag 2.86
Cl (0.2926, 0.6891, 0.0487)  1 Ho 2.64, 1 Ag 2.87
Cl (0.9018, 0.5263, 0.2477)  1 Ho 2.64, 1 Ag 2.70
Cl (0.2074, 0.1891, 0.4513)  1 Ho 2.64, 1 Ag 2.87
Ag (0.5000, 0.0000, 0.0000)  6 Cl 2.70-2.87
Ag (0.0000, 0.5000, 0.5000)  6 Cl 2.70-2.87
Ho (0.0000, 0.5000, 0.0000)  6 Cl 2.64
Ho (0.5000, 0.0000, 0.5000)  6 Cl 2.64

Calculated values
Fermi-level density of states in states/eV per cell: 0.00
Raw formation energy in meV per atom: -1818
Total magnetic moment in μB per atom: 0.000


DFT (PBE) results for a relaxed structure of Sc2CrP.

Unit cell a=4.4517 b=4.4517 c=4.4517 alpha=60.00 beta=60.00 gamma=60.00
Last column: nearest neighbours and their distance in Å.
Fractional positions:
Sc (0.0000, 0.0000, 0.0000)  4 Sc 2.73, 4 P 2.73
Sc (0.2500, 0.2500, 0.2500)  4 Cr 2.73, 4 Sc 2.73
P (0.7500, 0.7500, 0.7500)  4 Cr 2.73, 4 Sc 2.73
Cr (0.5000, 0.5000, 0.5000)  4 Sc 2.73, 4 P 2.73

Calculated values
ΔE_f in eV per atom: -0.095
Fermi-level density of states in states/eV per cell: 3.53
Total magnetic moment in μB per atom: 0.249


DFT (PBE) results for a relaxed structure of DyGaCo2H.

Unit cell a=3.5654 b=5.5002 c=7.1454 alpha=90.00 beta=90.00 gamma=108.91
Last column: nearest neighbours and their distance in Å.
Fractional positions:
Ga (0.2726, 0.5452, 0.2500)  6 Co 2.40-2.45
Ga (0.7274, 0.4548, 0.7500)  6 Co 2.40-2.45
Co (0.1579, 0.3158, 0.5492)  1 H 1.68
Co (0.8421, 0.6842, 0.0492)  1 H 1.68
Co (0.1579, 0.3158, 0.9508)  1 H 1.68
Co (0.8421, 0.6842, 0.4508)  1 H 1.68
Dy (0.5499, 0.0999, 0.2500)  4 H 2.58
Dy (0.4501, 0.9001, 0.7500)  4 H 2.58
H (0.0000, 0.0000, 0.5000)  2 Co 1.68
H (0.0000, 0.0000, 0.0000)  2 Co 1.68

Calculated values
Fermi-level density of states in states/eV per cell: 12.01
Total magnetic moment in μB per atom: 0.318
Final energy in eV per atom: -5.361

----------

Material: SrMgCoF6
Method: DFT, PBE with a Hubbard U
State: relaxed

Computed properties:
For the density of states at the Fermi level, the calculation gives 0.0 states/eV/cell. The energy comes out at -5.39 eV/atom.

Cell lengths 5.366, 5.366, 10.445 Å; angles 90.00, 90.00, 120.00 degrees
Atoms (fractional coordinates):
Sr: 0.000 0.000 0.000
Sr: 0.000 0.000 0.500
Mg: 0.333 0.667 0.250
Mg: 0.667 0.333 0.750
Co: 0.333 0.667 0.750
Co: 0.667 0.333 0.250
F: 0.007 0.366 0.144
F: 0.007 0.641 0.356
F: 0.359 0.366 0.356
F: 0.359 0.993 0.144
F: 0.366 0.007 0.644
F: 0.366 0.359 0.856